== Work order ==
It remains to return the contents underneath character by character.

== Listing ==
........
(1)
Density functional theory data (PBE) for a geometry-optimized BaO6 structure.

## Properties
E_form ... -606.7 kJ/mol of formula units
E above lowest polymorph ... 0.00 eV per formula unit

Cell lengths 9.4378, 6.3432, 8.0464 Å; angles 90.00, 92.65, 90.00 degrees
Space group C2/c (No. 15)
Unique sites:
Ba1 0.0000 0.2270 0.2500 x4
O1 0.0437 0.4382 0.9575 x8
O2 0.1650 0.0451 0.5346 x8
O3 0.1944 0.1439 0.6725 x8

---

(2)
Density functional theory data (PBE) for a geometry-optimized SrHf4SnO12 structure.

## Properties
Magnetization ... 2.00 μB per formula unit
E_form ... -5442.3 kJ/mol of formula units

Cell lengths 7.8444, 8.1149, 8.3483 Å; angles 90.00, 90.00, 90.00 degrees
Space group Cmmm (No. 65)
Unique sites:
Sr1 0.0000 0.0000 0.0000 x2
Hf1 0.2500 0.2500 0.2550 x8
Sn1 0.0000 0.5000 0.5000 x2
O1 0.0000 0.1897 0.2301 x8
O2 0.1747 0.5000 0.3064 x8
O3 0.2500 0.2500 0.0000 x4
O4 0.2500 0.2500 0.5000 x4

---

(3)
Density functional theory data (PBE) for a geometry-optimized Tb3Ge4 structure.

## Properties
E_form ... -536.3 kJ/mol of formula units

Cell lengths 4.0898, 10.7475, 14.3623 Å; angles 90.00, 90.00, 90.00 degrees
Space group Cmcm (No. 63)
Unique sites:
Tb1 0.0000 0.0480 0.2500 x4
Tb2 0.0000 0.3320 0.0968 x8
Ge1 0.0000 0.0000 0.0000 x4
Ge2 0.0000 0.2242 0.7500 x4
Ge3 0.0000 0.3786 0.6087 x8

---

(4)
Density functional theory data (PBE) for a geometry-optimized Zr2CN structure.

## Properties
E_form ... -533.0 kJ/mol of formula units

Cell lengths 3.3052, 3.3052, 16.1915 Å; angles 90.00, 90.00, 120.00 degrees
Space group R-3m (No. 166, hexagonal axes)
Unique sites:
Zr1 0.0000 0.0000 0.2491 x6
C1 0.0000 0.0000 0.5000 x3
N1 0.0000 0.0000 0.0000 x3

---

(5)
Density functional theory data (PBE) for a geometry-optimized Rb3As7 structure.

## Properties
Magnetization ... 0.00 μB per formula unit
E_form ... -351.6 kJ/mol of formula units
E above lowest polymorph ... 0.00 eV per formula unit

Cell lengths 13.5378, 26.5943, 16.2842 Å; angles 90.00, 90.00, 90.00 degrees
Space group Pbca (No. 61)
Unique sites:
Rb1 0.0349 0.1758 0.0434 x8
Rb2 0.0499 0.5587 0.6447 x8
Rb3 0.1167 0.5756 0.0875 x8
Rb4 0.1232 0.1295 0.6060 x8
Rb5 0.1280 0.0829 0.2471 x8
Rb6 0.2296 0.7185 0.8357 x8
As1 0.9996 0.2243 0.7936 x8
As2 0.0508 0.2001 0.3826 x8
As3 0.0575 0.7020 0.0025 x8
As4 0.0653 0.6872 0.2404 x8
As5 0.1279 0.5449 0.8644 x8
As6 0.1306 0.6856 0.6303 x8
As7 0.1345 0.5348 0.3079 x8
As8 0.1368 0.0424 0.0064 x8
As9 0.1379 0.0299 0.4454 x8
As10 0.1832 0.5414 0.4527 x8
As11 0.2049 0.7403 0.0650 x8
As12 0.2145 0.0427 0.7746 x8
As13 0.2171 0.0939 0.9075 x8
As14 0.2282 0.6862 0.1844 x8

---

(6)
Density functional theory data (PBE) for a geometry-optimized ZrCrCuS4 structure.

## Properties
Magnetization ... 0.84 μB per formula unit
E_form ... -766.9 kJ/mol of formula units
E above lowest polymorph ... 0.85 eV per formula unit

Cell lengths 7.2496, 10.2225, 7.2270 Å; angles 90.00, 90.00, 90.00 degrees
Space group Ima2 (No. 46)
Unique sites:
Zr1 0.2500 0.2388 0.0000 x4
Cr1 0.0000 0.0000 0.7589 x4
Cu1 0.2500 0.6252 0.7721 x4
S1 0.0020 0.7388 0.2496 x8
S2 0.2500 0.0033 0.5321 x4
S3 0.2500 0.5071 0.4931 x4

---

(7)
Density functional theory data (PBE) for a geometry-optimized CrN2 structure.

## Properties
Magnetization ... 0.00 μB per formula unit
E_form ... 1.3 kJ/mol of formula units

Cell lengths 7.3416, 8.8306, 5.9387 Å; angles 90.00, 99.11, 90.00 degrees
Space group C2 (No. 5)
Unique sites:
Cr1 0.1991 0.0000 0.2813 x4
Cr2 0.2466 0.1222 0.7892 x4
N1 0.0172 0.1044 0.7523 x4
N2 0.1753 0.8124 0.2399 x4
N3 0.1805 0.5646 0.9282 x4
N4 0.1905 0.5221 0.4396 x4

---

(8)
Density functional theory data (PBE) for a geometry-optimized K2B2Se3O10 structure.

## Properties
Magnetization ... 0.08 μB per formula unit
E_form ... -3203.5 kJ/mol of formula units

Cell lengths 14.5885, 16.1114, 4.7970 Å; angles 90.00, 90.00, 90.00 degrees
Space group Pnma (No. 62)
Unique sites:
K1 0.1341 0.0477 0.2354 x8
B1 0.0097 0.6693 0.2615 x8
Se1 0.1132 0.6411 0.7608 x8
........

== Response ==
(1)
Density functional theory data (PBE) for a geometry-optimized BaO6 structure.

## Properties
E_form ... -606.7 kJ/mol of formula units
E above lowest polymorph ... 0.00 eV per formula unit

Cell lengths 9.4378, 6.3432, 8.0464 Å; angles 90.00, 92.65, 90.00 degrees
Space group C2/c (No. 15)
Unique sites:
Ba1 0.0000 0.2270 0.2500 x4
O1 0.0437 0.4382 0.9575 x8
O2 0.1650 0.0451 0.5346 x8
O3 0.1944 0.1439 0.6725 x8

---

(2)
Density functional theory data (PBE) for a geometry-optimized SrHf4SnO12 structure.

## Properties
Magnetization ... 2.00 μB per formula unit
E_form ... -5442.3 kJ/mol of formula units

Cell lengths 7.8444, 8.1149, 8.3483 Å; angles 90.00, 90.00, 90.00 degrees
Space group Cmmm (No. 65)
Unique sites:
Sr1 0.0000 0.0000 0.0000 x2
Hf1 0.2500 0.2500 0.2550 x8
Sn1 0.0000 0.5000 0.5000 x2
O1 0.0000 0.1897 0.2301 x8
O2 0.1747 0.5000 0.3064 x8
O3 0.2500 0.2500 0.0000 x4
O4 0.2500 0.2500 0.5000 x4

---

(3)
Density functional theory data (PBE) for a geometry-optimized Tb3Ge4 structure.

## Properties
E_form ... -536.3 kJ/mol of formula units

Cell lengths 4.0898, 10.7475, 14.3623 Å; angles 90.00, 90.00, 90.00 degrees
Space group Cmcm (No. 63)
Unique sites:
Tb1 0.0000 0.0480 0.2500 x4
Tb2 0.0000 0.3320 0.0968 x8
Ge1 0.0000 0.0000 0.0000 x4
Ge2 0.0000 0.2242 0.7500 x4
Ge3 0.0000 0.3786 0.6087 x8

---

(4)
Density functional theory data (PBE) for a geometry-optimized Zr2CN structure.

## Properties
E_form ... -533.0 kJ/mol of formula units

Cell lengths 3.3052, 3.3052, 16.1915 Å; angles 90.00, 90.00, 120.00 degrees
Space group R-3m (No. 166, hexagonal axes)
Unique sites:
Zr1 0.0000 0.0000 0.2491 x6
C1 0.0000 0.0000 0.5000 x3
N1 0.0000 0.0000 0.0000 x3

---

(5)
Density functional theory data (PBE) for a geometry-optimized Rb3As7 structure.

## Properties
Magnetization ... 0.00 μB per formula unit
E_form ... -351.6 kJ/mol of formula units
E above lowest polymorph ... 0.00 eV per formula unit

Cell lengths 13.5378, 26.5943, 16.2842 Å; angles 90.00, 90.00, 90.00 degrees
Space group Pbca (No. 61)
Unique sites:
Rb1 0.0349 0.1758 0.0434 x8
Rb2 0.0499 0.5587 0.6447 x8
Rb3 0.1167 0.5756 0.0875 x8
Rb4 0.1232 0.1295 0.6060 x8
Rb5 0.1280 0.0829 0.2471 x8
Rb6 0.2296 0.7185 0.8357 x8
As1 0.9996 0.2243 0.7936 x8
As2 0.0508 0.2001 0.3826 x8
As3 0.0575 0.7020 0.0025 x8
As4 0.0653 0.6872 0.2404 x8
As5 0.1279 0.5449 0.8644 x8
As6 0.1306 0.6856 0.6303 x8
As7 0.1345 0.5348 0.3079 x8
As8 0.1368 0.0424 0.0064 x8
As9 0.1379 0.0299 0.4454 x8
As10 0.1832 0.5414 0.4527 x8
As11 0.2049 0.7403 0.0650 x8
As12 0.2145 0.0427 0.7746 x8
As13 0.2171 0.0939 0.9075 x8
As14 0.2282 0.6862 0.1844 x8

---

(6)
Density functional theory data (PBE) for a geometry-optimized ZrCrCuS4 structure.

## Properties
Magnetization ... 0.84 μB per formula unit
E_form ... -766.9 kJ/mol of formula units
E above lowest polymorph ... 0.85 eV per formula unit

Cell lengths 7.2496, 10.2225, 7.2270 Å; angles 90.00, 90.00, 90.00 degrees
Space group Ima2 (No. 46)
Unique sites:
Zr1 0.2500 0.2388 0.0000 x4
Cr1 0.0000 0.0000 0.7589 x4
Cu1 0.2500 0.6252 0.7721 x4
S1 0.0020 0.7388 0.2496 x8
S2 0.2500 0.0033 0.5321 x4
S3 0.2500 0.5071 0.4931 x4

---

(7)
Density functional theory data (PBE) for a geometry-optimized CrN2 structure.

## Properties
Magnetization ... 0.00 μB per formula unit
E_form ... 1.3 kJ/mol of formula units

Cell lengths 7.3416, 8.8306, 5.9387 Å; angles 90.00, 99.11, 90.00 degrees
Space group C2 (No. 5)
Unique sites:
Cr1 0.1991 0.0000 0.2813 x4
Cr2 0.2466 0.1222 0.7892 x4
N1 0.0172 0.1044 0.7523 x4
N2 0.1753 0.8124 0.2399 x4
N3 0.1805 0.5646 0.9282 x4
N4 0.1905 0.5221 0.4396 x4

---

(8)
Density functional theory data (PBE) for a geometry-optimized K2B2Se3O10 structure.

## Properties
Magnetization ... 0.08 μB per formula unit
E_form ... -3203.5 kJ/mol of formula units

Cell lengths 14.5885, 16.1114, 4.7970 Å; angles 90.00, 90.00, 90.00 degrees
Space group Pnma (No. 62)
Unique sites:
K1 0.1341 0.0477 0.2354 x8
B1 0.0097 0.6693 0.2615 x8
Se1 0.1132 0.6411 0.7608 x8